[i][b]DONT[/b] get sent home [b]CRYING[/b], instead [b]FIND[/b] a [b]CRUCIBLE[/b] team[/i][b]![/b]
keep it simple guardians
[b]Simple Template[/b]
• your console
• your lvl
• lvl players your looking for
• Average KD your looking for(optional)
Level 33 warlock looking to join trials of Osiris team. Must be 33+ gt same as above
Looking for 2 people 33+ that are really good at trials i am trying to flawless plz help msg me for inv on xbox gt is same as username
Looking for 2 33+ experienced players to do flawless trials of Osiris.
Looking for 2 lvl 33+ for trials. Im a lvl 34 warlock. Msg me on xb360. My gt is same as above.
Lookin for a team to run through the trials of Osiris msg me for invite. Gt is same as above.
Level 33 warlock got to 8 wins on my hunter looking for a good experienced team who knows what they are doing. Possession of thorn is preferable GT homeboy2727 (xbox360)
Lvl 34 warlock with max thorn and mithoclast... Looking for an experienced team to do the trials of Osiris with. I am very good at crucible...send me an invite on Xbox GT same as above
34 lock looking for good ToO team I'm decent (2.84 in trials) but mic is broken (can hear) Gt: UpbeatRain1
Lvl 32 Hunter looking for trials of Osiris group send inv gt above
/*
LiMnP3H8O13: relaxed, PBE+U.

* relative energy among the computed polymorphs: 9.5 meV/atom
* MP2020-corrected energy: -6.540 eV per atom
* E_tot: -318.89 eV per cell

a b c (Å): 7.362 7.828 10.140
angles (deg): 84.05 74.47 76.64
Sites, in units of the cell vectors:
H 0.312 0.299 0.603
H 0.347 0.379 0.995
H 0.852 0.652 0.008
H 0.148 0.348 0.992
H 0.810 0.824 0.430
H 0.075 0.264 0.793
H 0.097 0.642 0.088
H 0.317 0.865 0.102
H 0.653 0.621 0.005
H 0.372 0.967 0.961
H 0.190 0.176 0.570
H 0.903 0.358 0.912
H 0.628 0.033 0.039
H 0.925 0.736 0.207
H 0.683 0.135 0.898
H 0.688 0.701 0.397
O 0.475 0.878 0.789
O 0.427 0.659 0.391
O 0.386 0.592 0.746
O 0.414 0.653 0.140
O 0.721 0.020 0.947
O 0.586 0.347 0.860
O 0.195 0.960 0.385
O 0.755 0.550 0.671
O 0.879 0.145 0.185
O 0.906 0.292 0.441
O 0.121 0.855 0.815
O 0.805 0.040 0.615
O 0.094 0.708 0.559
O 0.614 0.408 0.254
O 0.787 0.612 0.948
O 0.525 0.122 0.211
O 0.179 0.282 0.617
O 0.279 0.980 0.053
O 0.358 0.858 0.580
O 0.642 0.142 0.420
O 0.018 0.260 0.894
O 0.213 0.388 0.052
O 0.982 0.740 0.106
O 0.245 0.450 0.329
O 0.573 0.341 0.609
O 0.821 0.718 0.383
Mn 0.000 0.000 0.000
Mn 0.000 0.500 0.500
P 0.591 0.457 0.729
P 0.332 0.806 0.743
P 0.245 0.806 0.477
P 0.668 0.194 0.257
P 0.755 0.194 0.523
P 0.409 0.543 0.271
Li 0.196 0.183 0.236
Li 0.804 0.817 0.764

=====

LiMn2P4H11O18: relaxed, PBE+U.

* MP2020-corrected energy: -6.650 eV per atom
* E_tot: -223.70 eV per cell

a b c (Å): 5.440 6.172 11.976
angles (deg): 75.09 83.62 66.38
Sites, in units of the cell vectors:
O 0.240 0.317 0.030
O 0.228 0.853 0.974
O 0.896 0.647 0.578
O 0.890 0.426 0.238
O 0.561 0.557 0.400
O 0.534 0.961 0.187
O 0.467 0.038 0.824
O 0.133 0.820 0.248
O 0.066 0.388 0.437
O 0.863 0.174 0.755
O 0.765 0.146 0.031
O 0.125 0.561 0.771
O 0.169 0.885 0.596
O 0.463 0.406 0.168
O 0.534 0.595 0.838
O 0.753 0.676 0.981
O 0.854 0.107 0.414
O 0.407 0.433 0.600
H 0.007 0.929 0.295
H 0.987 0.503 0.499
H 0.983 0.063 0.707
H 0.979 0.017 0.485
H 0.253 0.680 0.305
H 0.635 0.419 0.186
H 0.361 0.581 0.817
H 0.472 0.491 0.514
H 0.367 0.923 0.207
H 0.749 0.319 0.699
H 0.634 0.078 0.805
P 0.837 0.385 0.369
P 0.499 0.210 0.096
P 0.496 0.787 0.911
P 0.141 0.634 0.638
Mn 0.006 0.296 0.906
Mn 0.993 0.703 0.101
Li 0.470 0.989 0.539

* * * * *

Here is a relaxed structure of Mo3C8Se13N2 from the Materials Project database. Energies are from PBE.

Summary:
As for the size of the total moment: 2.0 μB per cell. For the calculated formation energy, the calculation gives 0.686 eV per atom.

Structure (CIF):
```
data_Mo3C8Se13N2
_chemical_formula_sum 'Mo3 C8 Se13 N2'
_cell_length_a 11.028
_cell_length_b 11.028
_cell_length_c 6.706
_cell_angle_alpha 86.45
_cell_angle_beta 86.45
_cell_angle_gamma 121.51
_space_group_name_H-M_alt 'P 1'
_space_group_IT_number 1
_space_group_name_Hall 'P 1'
loop_
_atom_site_label
_atom_site_fract_x
_atom_site_fract_y
_atom_site_fract_z
Se1 0.005 0.376 0.399
Se2 0.000 0.820 0.287
Se3 0.336 0.996 0.736
Se4 0.615 0.615 0.798
C1 0.690 0.465 0.872
*/
I am a lvl34 Warlock with maxed weapons and can take on lvl32 or higher, you must be a good PvP player for Trials Of Osiris, I am going for a Flawless Win. Must have maxed weapons. GT: DMG Younisy (No time wasters)
Lv 34 max thorn and lie looking for a team bad. Mic broke but I know what's up and I am a very skilled player Gt- jiiviiL
Need one lvl 33+ to do trials with, msg me for an inv or join
Lvl 32 Hunter looking for trials of Osiris group send inv gt above
Edited by sowhatwhocar3s: 5/24/2015 10:29:07 PMNeed 1 for trails msg gt above for invite lvl 32+ xbox 360
34 hunter and warlock looking to go flawless Need a 34 Ht same
Need 2 for the tials preferably 33+ with some experience just msg for inv gt above
~~~
Sr4Fe2CoNiO12, optimized geometry, DFT PBE with a Hubbard U; calculated formation energy = -2035 meV per atom
1.0
2.759 1.593 9.037
-2.759 1.593 9.037
0.000 -3.186 9.037
Sr Fe Co Ni O
4 2 1 1 12
Direct
0.000 0.000 0.000
0.249 0.249 0.249
0.498 0.498 0.498
0.749 0.749 0.749
0.624 0.624 0.624
0.873 0.873 0.873
0.375 0.375 0.375
0.124 0.124 0.124
0.007 0.496 0.496
0.247 0.750 0.750
0.252 0.252 0.737
0.252 0.737 0.252
0.496 0.007 0.496
0.496 0.496 0.007
0.505 0.997 0.997
0.737 0.252 0.252
0.750 0.247 0.750
0.750 0.750 0.247
0.997 0.505 0.997
0.997 0.997 0.505


Fe2CoO4, optimized geometry, DFT PBE with a Hubbard U; calculated formation energy = -1512 meV per atom; offset from the most stable computed form = 64 meV/atom
1.0
5.203 -3.031 0.000
5.203 3.031 0.000
-3.614 0.000 19.648
Fe Co O
16 8 32
Direct
0.000 0.000 0.000
0.217 0.723 0.657
0.223 0.723 0.158
0.244 0.244 0.751
0.447 0.447 0.315
0.472 0.979 0.409
0.473 0.970 0.907
0.504 0.504 0.505
0.592 0.592 0.784
0.695 0.695 0.066
0.723 0.217 0.657
0.723 0.223 0.158
0.751 0.751 0.252
0.853 0.853 0.536
0.970 0.473 0.907
0.979 0.472 0.409
0.099 0.099 0.284
0.198 0.198 0.564
0.223 0.223 0.158
0.347 0.347 0.032
0.473 0.473 0.908
0.724 0.724 0.657
0.944 0.944 0.813
0.975 0.975 0.409
0.023 0.023 0.592
0.031 0.031 0.100
0.035 0.567 0.599
0.052 0.534 0.098
0.148 0.665 0.471
0.160 0.645 0.967
0.163 0.163 0.966
0.166 0.166 0.462
0.279 0.279 0.849
0.283 0.283 0.350
0.290 0.800 0.350
0.314 0.775 0.847
0.395 0.912 0.219
0.404 0.884 0.717
0.410 0.410 0.721
0.415 0.415 0.216
0.528 0.528 0.603
0.531 0.531 0.100
0.534 0.052 0.098
0.567 0.035 0.599
0.645 0.160 0.967
0.665 0.148 0.471
0.665 0.665 0.967
0.678 0.678 0.475
0.771 0.771 0.846
0.775 0.314 0.847
0.783 0.783 0.352
0.800 0.290 0.350
0.884 0.404 0.717
0.912 0.395 0.219
0.915 0.915 0.711
0.916 0.916 0.217


no.,total energy (eV/f.u.)
~~~
Trying to get Flawless 9-0 I'm lv 34 Hunter with maxed thorn. Need 2 more level 34 if interested. I'm Experienced as well. My gamer tag is FireBlazingWolf just as typed including caps. Message me if interested (I most likely will be doing this until the reset.)
Need 1 for trails. Would like titan 33+ gt SirXray message on Xbox
[33 Hunter looking for a good trials team... Gt same as name
Need two for 28 PoE msg same GT as above for inv
Legal 33 warlock I average a 1.5 I'd go above
Need 2 more for ToO msg chief8901 for an invite (34 only) want to get to lighthouse
Need one for ToO must be 33+ gt same as above
Need 2 for Trials of Osiris Lvl 33 or 34 Msg Gt above for inv
Edited by Colonel Turtle: 5/24/2015 9:14:51 PM
Looking for 2 skilled players 33+ for ToO to go flawless Gt: UpbeatRain1